{"formula": "Sm7Ho12Cd", "functional": "PBE", "state": "relaxed", "dos_ef_per_ev_fu": 36.816, "magnetic_moment_mub_per_cell": 0.0, "sg": "R-3 (148)", "e_form_kj_per_mol_fu": 370.9, "dft_energy_ev_per_atom": -4.252, "lattice_angstrom": [[-4.237, 5.515, -5.243], [-7.566, -3.892, 1.860], [-1.294, 5.477, 6.647]], "species": ["Sm", "Sm", "Sm", "Sm", "Sm", "Sm", "Sm", "Ho", "Ho", "Ho", "Ho", "Ho", "Ho", "Ho", "Ho", "Ho", "Ho", "Ho", "Ho", "Cd"], "frac_coords": [[0.216, 0.621, 0.766], [0.379, 0.234, 0.784], [0.234, 0.784, 0.379], [0.500, 0.500, 0.500], [0.766, 0.216, 0.621], [0.621, 0.766, 0.216], [0.784, 0.379, 0.234], [0.006, 0.332, 0.892], [0.668, 0.108, 0.994], [0.463, 0.122, 0.340], [0.878, 0.660, 0.537], [0.108, 0.994, 0.668], [0.660, 0.537, 0.878], [0.340, 0.463, 0.122], [0.892, 0.006, 0.332], [0.122, 0.340, 0.463], [0.537, 0.878, 0.660], [0.332, 0.892, 0.006], [0.994, 0.668, 0.108], [0.000, 0.000, 0.000]]}


{"formula": "Sm3Ho4Cd", "functional": "PBE", "state": "relaxed", "dos_ef_per_ev_fu": 9.856, "magnetic_moment_mub_per_cell": 0.0, "sg": "Pmn2_1 (31)", "e_form_kj_per_mol_fu": -36.0, "dft_energy_ev_per_atom": -4.220, "relative_energy_ev_per_atom": 0.020, "lattice_angstrom": [[6.196, 0.000, 0.000], [0.000, 7.058, 0.000], [0.000, 0.000, 11.239]], "species": ["Sm", "Sm", "Sm", "Sm", "Sm", "Sm", "Ho", "Ho", "Ho", "Ho", "Ho", "Ho", "Ho", "Ho", "Cd", "Cd"], "frac_coords": [[0.626, 0.629, 0.000], [0.979, 0.618, 0.236], [0.479, 0.382, 0.264], [0.126, 0.371, 0.500], [0.479, 0.382, 0.736], [0.979, 0.618, 0.764], [0.164, 0.886, 0.000], [0.641, 0.130, 0.000], [0.987, 0.125, 0.241], [0.487, 0.875, 0.259], [0.141, 0.870, 0.500], [0.664, 0.114, 0.500], [0.487, 0.875, 0.741], [0.987, 0.125, 0.759], [0.153, 0.367, 0.000], [0.653, 0.633, 0.500]]}


{"formula": "SmHo2Cd4", "functional": "PBE", "state": "relaxed", "dos_ef_per_ev_fu": 4.965, "magnetic_moment_mub_per_cell": 0.0, "sg": "I4/mmm (139)", "e_form_kj_per_mol_fu": -100.4, "dft_energy_ev_per_atom": -2.654, "lattice_angstrom": [[-3.118, 3.847, 2.024], [-1.305, 1.548, -4.952], [-3.154, -7.072, 1.510]], "species": ["Ho", "Ho", "Sm", "Cd", "Cd", "Cd", "Cd"], "frac_coords": [[0.741, 0.741, 0.481], [0.259, 0.259, 0.519], [0.000, 0.000, 0.000], [0.382, 0.882, 0.764], [0.882, 0.382, 0.764], [0.618, 0.118, 0.236], [0.118, 0.618, 0.236]]}


{"formula": "Sm3Ho2Cd6", "functional": "PBE", "state": "relaxed", "dos_ef_per_ev_fu": 11.403, "magnetic_moment_mub_per_cell": 0.0, "sg": "I4/mmm (139)", "e_form_kj_per_mol_fu": 9.3, "dft_energy_ev_per_atom": -2.610, "lattice_angstrom": [[4.182, 0.000, 0.000], [0.000, 4.182, 0.000], [-2.091, -2.091, 18.446]], "species": ["Sm", "Sm", "Sm", "Ho", "Ho", "Cd", "Cd", "Cd", "Cd", "Cd", "Cd"], "frac_coords": [[0.000, 0.000, 0.000], [0.814, 0.814, 0.629], [0.186, 0.186, 0.371], [0.366, 0.366, 0.732], [0.634, 0.634, 0.268], [0.068, 0.568, 0.136], [0.568, 0.068, 0.136], [0.932, 0.432, 0.864], [0.432, 0.932, 0.864], [0.726, 0.726, 0.451], [0.274, 0.274, 0.549]]}


{"formula": "SmHo5Cd4", "functional": "PBE", "state": "relaxed", "dos_ef_per_ev_fu": 13.048, "magnetic_moment_mub_per_cell": 0.0, "sg": "P4/mmm (123)", "e_form_kj_per_mol_fu": -232.1, "dft_energy_ev_per_atom": -3.367, "lattice_angstrom": [[3.686, 0.000, 0.000], [0.000, 3.686, 0.000], [0.000, 0.000, 20.149]], "species": ["Sm", "Ho", "Ho", "Ho", "Ho", "Ho", "Cd", "Cd", "Cd", "Cd"], "frac_coords": [[0.000, 0.000, 0.000], [0.500, 0.500, 0.123], [0.500, 0.500, 0.312], [0.500, 0.500, 0.500], [0.500, 0.500, 0.688], [0.500, 0.500, 0.877], [0.000, 0.000, 0.217], [0.000, 0.000, 0.405], [0.000, 0.000, 0.595], [0.000, 0.000, 0.783]]}

The reader should reproduce the whole of the listing further above exactly.

{"formula": "Sm7Ho12Cd", "functional": "PBE", "state": "relaxed", "dos_ef_per_ev_fu": 36.816, "magnetic_moment_mub_per_cell": 0.0, "sg": "R-3 (148)", "e_form_kj_per_mol_fu": 370.9, "dft_energy_ev_per_atom": -4.252, "lattice_angstrom": [[-4.237, 5.515, -5.243], [-7.566, -3.892, 1.860], [-1.294, 5.477, 6.647]], "species": ["Sm", "Sm", "Sm", "Sm", "Sm", "Sm", "Sm", "Ho", "Ho", "Ho", "Ho", "Ho", "Ho", "Ho", "Ho", "Ho", "Ho", "Ho", "Ho", "Cd"], "frac_coords": [[0.216, 0.621, 0.766], [0.379, 0.234, 0.784], [0.234, 0.784, 0.379], [0.500, 0.500, 0.500], [0.766, 0.216, 0.621], [0.621, 0.766, 0.216], [0.784, 0.379, 0.234], [0.006, 0.332, 0.892], [0.668, 0.108, 0.994], [0.463, 0.122, 0.340], [0.878, 0.660, 0.537], [0.108, 0.994, 0.668], [0.660, 0.537, 0.878], [0.340, 0.463, 0.122], [0.892, 0.006, 0.332], [0.122, 0.340, 0.463], [0.537, 0.878, 0.660], [0.332, 0.892, 0.006], [0.994, 0.668, 0.108], [0.000, 0.000, 0.000]]}


{"formula": "Sm3Ho4Cd", "functional": "PBE", "state": "relaxed", "dos_ef_per_ev_fu": 9.856, "magnetic_moment_mub_per_cell": 0.0, "sg": "Pmn2_1 (31)", "e_form_kj_per_mol_fu": -36.0, "dft_energy_ev_per_atom": -4.220, "relative_energy_ev_per_atom": 0.020, "lattice_angstrom": [[6.196, 0.000, 0.000], [0.000, 7.058, 0.000], [0.000, 0.000, 11.239]], "species": ["Sm", "Sm", "Sm", "Sm", "Sm", "Sm", "Ho", "Ho", "Ho", "Ho", "Ho", "Ho", "Ho", "Ho", "Cd", "Cd"], "frac_coords": [[0.626, 0.629, 0.000], [0.979, 0.618, 0.236], [0.479, 0.382, 0.264], [0.126, 0.371, 0.500], [0.479, 0.382, 0.736], [0.979, 0.618, 0.764], [0.164, 0.886, 0.000], [0.641, 0.130, 0.000], [0.987, 0.125, 0.241], [0.487, 0.875, 0.259], [0.141, 0.870, 0.500], [0.664, 0.114, 0.500], [0.487, 0.875, 0.741], [0.987, 0.125, 0.759], [0.153, 0.367, 0.000], [0.653, 0.633, 0.500]]}


{"formula": "SmHo2Cd4", "functional": "PBE", "state": "relaxed", "dos_ef_per_ev_fu": 4.965, "magnetic_moment_mub_per_cell": 0.0, "sg": "I4/mmm (139)", "e_form_kj_per_mol_fu": -100.4, "dft_energy_ev_per_atom": -2.654, "lattice_angstrom": [[-3.118, 3.847, 2.024], [-1.305, 1.548, -4.952], [-3.154, -7.072, 1.510]], "species": ["Ho", "Ho", "Sm", "Cd", "Cd", "Cd", "Cd"], "frac_coords": [[0.741, 0.741, 0.481], [0.259, 0.259, 0.519], [0.000, 0.000, 0.000], [0.382, 0.882, 0.764], [0.882, 0.382, 0.764], [0.618, 0.118, 0.236], [0.118, 0.618, 0.236]]}


{"formula": "Sm3Ho2Cd6", "functional": "PBE", "state": "relaxed", "dos_ef_per_ev_fu": 11.403, "magnetic_moment_mub_per_cell": 0.0, "sg": "I4/mmm (139)", "e_form_kj_per_mol_fu": 9.3, "dft_energy_ev_per_atom": -2.610, "lattice_angstrom": [[4.182, 0.000, 0.000], [0.000, 4.182, 0.000], [-2.091, -2.091, 18.446]], "species": ["Sm", "Sm", "Sm", "Ho", "Ho", "Cd", "Cd", "Cd", "Cd", "Cd", "Cd"], "frac_coords": [[0.000, 0.000, 0.000], [0.814, 0.814, 0.629], [0.186, 0.186, 0.371], [0.366, 0.366, 0.732], [0.634, 0.634, 0.268], [0.068, 0.568, 0.136], [0.568, 0.068, 0.136], [0.932, 0.432, 0.864], [0.432, 0.932, 0.864], [0.726, 0.726, 0.451], [0.274, 0.274, 0.549]]}


{"formula": "SmHo5Cd4", "functional": "PBE", "state": "relaxed", "dos_ef_per_ev_fu": 13.048, "magnetic_moment_mub_per_cell": 0.0, "sg": "P4/mmm (123)", "e_form_kj_per_mol_fu": -232.1, "dft_energy_ev_per_atom": -3.367, "lattice_angstrom": [[3.686, 0.000, 0.000], [0.000, 3.686, 0.000], [0.000, 0.000, 20.149]], "species": ["Sm", "Ho", "Ho", "Ho", "Ho", "Ho", "Cd", "Cd", "Cd", "Cd"], "frac_coords": [[0.000, 0.000, 0.000], [0.500, 0.500, 0.123], [0.500, 0.500, 0.312], [0.500, 0.500, 0.500], [0.500, 0.500, 0.688], [0.500, 0.500, 0.877], [0.000, 0.000, 0.217], [0.000, 0.000, 0.405], [0.000, 0.000, 0.595], [0.000, 0.000, 0.783]]}